Material.
- - -
Below is a structure of composition C21H39BClCsF2N4O19PS2V at a distorted geometry, with properties calculated with ωB97M-V/def2-TZVPD.

Each line ends with the Mulliken charge.
Positions of all 92 atoms, in Å:
N 2.00580 1.50334 -4.09724  0.00
C 2.29640 2.34704 -5.00567  -0.20
N 3.65222 2.62243 -5.18494  -0.24
P 4.15394 4.20421 -4.70215  0.21
S 5.74061 4.14857 -3.60059  -0.37
N 1.36597 2.91969 -5.80348  -0.08
B 0.82837 4.25020 -5.33947  0.69
O 1.19406 5.33081 -6.05828  -0.53
O 0.00108 4.41554 -4.30220  -0.38
H 1.16367 0.82529 -4.13140  0.32
H 2.67288 1.42532 -3.34599  0.17
H 3.91544 2.41067 -6.14201  0.38
H 4.33207 5.01170 -5.83362  0.12
H 3.08201 4.75803 -3.97905  0.08
H 0.59243 2.28627 -5.98920  0.24
H 0.86250 5.19329 -6.96235  0.32
H 0.19159 3.80690 -3.57321  0.28
Cl -0.43357 1.19487 -3.32850  -0.89
Cs -0.80730 -0.83044 -2.42535  0.89
F 2.74335 -0.69542 -5.08756  -0.67
N 2.17134 4.62488 -9.69132  1.03
O 1.18962 4.81233 -8.95563  -0.56
O 2.95827 5.53918 -9.91651  -0.50
O 2.35232 3.51105 -10.19038  -0.49
C 3.30360 -2.33029 3.34796  -0.29
C 3.84034 -2.85991 2.03781  0.32
O 2.74245 -3.61189 1.54019  -0.31
C 1.61033 -3.04084 2.03993  0.60
O 0.51673 -3.23442 1.63844  -0.50
O 1.90637 -2.20276 3.06129  -0.25
F 4.89870 -3.68395 2.22020  -0.28
H 3.44577 -3.04312 4.16089  0.26
H 3.73125 -1.37265 3.63325  0.15
H 4.10759 -2.09003 1.31272  0.29
O -6.17546 -1.02112 2.42308  -0.66
S -5.29393 -0.79360 3.52513  1.20
O -4.02709 -0.15524 3.32882  -0.57
O -5.07047 -2.15764 4.30674  -0.23
C -4.57578 -3.28948 3.56667  -0.45
C -3.10730 -3.14440 3.22954  -0.88
C -6.15167 0.05404 4.80550  -0.89
H -5.17920 -3.44423 2.67059  0.34
H -4.72695 -4.15337 4.21006  0.29
H -2.94197 -2.31878 2.54167  0.29
H -2.72900 -4.05226 2.76036  0.43
H -2.52568 -2.94054 4.12827  0.18
H -7.10117 -0.44209 4.98283  0.32
H -6.31210 1.07205 4.45924  0.36
H -5.53283 0.05559 5.70041  0.26
C -3.91320 -4.53859 -6.53681  -0.46
C -4.28993 -4.89859 -7.76097  -0.37
C -3.29578 -5.06923 -8.85517  0.39
O -3.64126 -5.38911 -9.97137  -0.55
C -1.86927 -4.82492 -8.53025  -0.24
C -1.49484 -4.47365 -7.30744  -0.20
C -2.48323 -4.30289 -6.21871  0.41
O -2.11427 -3.97064 -5.11319  -0.57
H -4.61862 -4.40445 -5.72657  0.42
H -5.32529 -5.07885 -8.02001  0.41
H -1.15979 -4.93865 -9.34132  0.28
H -0.45978 -4.28779 -7.05439  0.49
C 0.88887 3.49595 4.28021  -0.81
C 2.33025 3.65906 3.84865  -0.26
O 3.23156 3.51767 4.95773  -0.37
C 3.48708 2.26976 5.33481  0.83
O 3.05924 1.26637 4.82277  -0.53
O 4.30066 2.31796 6.38704  -0.36
C 4.61123 1.04431 6.95551  -0.59
H 0.65457 4.17531 5.10064  0.31
H 0.21310 3.69888 3.44987  0.41
H 0.69887 2.48427 4.63469  0.06
H 2.49127 4.66253 3.46132  0.30
H 2.59479 2.95765 3.05870  0.29
H 4.98767 0.35892 6.20019  0.27
H 3.73158 0.62466 7.44089  0.26
H 5.38297 1.21351 7.69954  0.22
C -0.94832 0.81510 6.47017  -0.30
C -0.84105 1.37416 7.88681  -0.62
C -2.30736 1.53422 8.26926  -0.46
O -3.02354 0.51155 7.57097  -0.41
C -2.17036 -0.08246 6.58513  -0.12
H -0.05920 0.28080 6.13780  0.45
H -1.14360 1.62427 5.76358  0.07
H -0.35974 0.64290 8.54020  0.26
H -0.28277 2.30718 7.95191  0.35
H -2.69695 2.50657 7.94851  0.27
H -2.48007 1.42918 9.34061  0.30
H -1.89537 -1.08514 6.93198  0.21
H -2.71346 -0.17739 5.64446  0.01
O 2.92825 -5.34059 -11.42306  -0.75
V 1.98933 -4.89068 -10.09118  1.74
O 1.12811 -4.43398 -8.70899  -0.83

Output
highest occupied orbital energy = -8.4282 eV
LUMO level = -0.2503 Eh
Kohn-Sham gap = 1.62 eV
electronic energy = -143085.456 eV

---

Below is a cluster of 2 separate species, C2H11N5 in total at a distorted geometry, with properties calculated with ωB97M-V/def2-TZVPD.

Each line ends with the natural charge from an NBO analysis.
Positions of all 18 atoms, in Å:
H 0.18747 2.35339 1.82769  0.36
N 0.22903 1.94389 0.88981  -0.61
N 0.42283 0.71430 1.01868  0.05
N 1.84670 0.26879 0.06596  -0.47
N 2.75142 -0.68858 0.53298  -0.63
H 2.29539 1.17729 -0.05780  0.34
H 2.78018 -0.67434 1.55462  0.33
H 2.41707 -1.60636 0.25557  0.34
C -1.14406 -1.43142 -0.02007  -0.41
- - -

Wanted.
Could you write out only the lines earlier on with the word "Each" in them?

Written answer.
Each line ends with the Mulliken charge.
Each line ends with the natural charge from an NBO analysis.